Choose your route to happy:

The Private Happy Experience

$297 (Normally $497)

As part of The Private Happy Experience you will receive:

  • Lifetime access to the Healing Boobies program (including all members-only video and audio content).
  • My “Get Happy” toolkit (including a series of mindset practices and a weekly PDF to add to your Boobie Book).
  • Access to the exclusive Healing Boobies community, filled with women just like you.
  • BONUS – 1 downloadable guided meditation.

The payment options available for this package are One Pay and Three Pay

The Group Happy Experience

(Records of crystals that have nothing to do with the entry)
- - -
{"formula": "Li2FeP2O8", "functional": "PBE+U", "state": "optimized geometry", "ef_ev_per_fu": -31.1, "space_group": "P-3", "magmom_total_mub_per_atom": 0.308, "lattice": [[4.9288, -0.0002, -0.0010], [-2.4645, 4.2661, 0.0019], [-0.0019, 0.0020, 7.3263]], "species": ["O", "Fe", "O", "O", "O", "P", "Li", "O", "O", "O", "Li", "P", "O"], "frac_coords": [[0.6903, 0.6445, 0.8370], [0.0000, 0.0001, 0.9999], [0.3327, 0.6658, 0.4379], [0.3553, 0.0459, 0.8368], [0.6670, 0.3344, 0.5618], [0.3335, 0.6663, 0.2282], [0.3333, 0.6668, 0.6974], [0.9542, 0.3097, 0.8368], [0.6447, 0.9541, 0.1632], [0.3097, 0.3554, 0.1631], [0.6667, 0.3329, 0.3027], [0.6664, 0.3337, 0.7721], [0.0457, 0.6903, 0.1631]]}


1.
The following is a PBE+U calculation of a relaxed Na3MnO4 crystal, from the Materials Project database.

a = 5.6531 Å, b = 7.1497 Å, c = 12.2397 Å
α = 90.00°, β = 90.00°, γ = 90.00°
Fractional positions:
Na 0.7029 0.4992 0.6629
Na 0.2971 0.5008 0.3371
Na 0.2029 0.5008 0.8371
Na 0.2971 0.9992 0.3371
Na 0.7971 0.4992 0.1629
Na 0.7029 0.0008 0.6629
Na 0.7971 0.0008 0.1629
Na 0.2029 0.9992 0.8371
Na 0.2875 0.7500 0.5739
Na 0.7125 0.2500 0.4261
Na 0.7875 0.2500 0.9261
Na 0.2125 0.7500 0.0739
Mn 0.6944 0.7500 0.9114
Mn 0.3056 0.2500 0.0886
Mn 0.1944 0.2500 0.5886
Mn 0.8056 0.7500 0.4114
O 0.3895 0.7500 0.9091
O 0.6105 0.2500 0.0909
O 0.8895 0.2500 0.5909
O 0.1105 0.7500 0.4091
O 0.7920 0.9485 0.8445
O 0.2080 0.0515 0.1555
O 0.2920 0.0515 0.6555
O 0.2080 0.4485 0.1555
O 0.7080 0.9485 0.3445
O 0.7920 0.5515 0.8445
O 0.7080 0.5515 0.3445
O 0.2920 0.4485 0.6555
O 0.7066 0.7500 0.5448
O 0.2934 0.2500 0.4552
O 0.2066 0.2500 0.9552
O 0.7934 0.7500 0.0448

Values from the calculation:
formation enthalpy at 0 K	-1796.4	meV per atom
final energy	-5.36	eV per atom
mass density	2.52	Mg/m³

2.
The following is a PBE+U calculation of a relaxed Pr2Mo15O28 crystal, from the Materials Project database.

a = 8.2320 Å, b = 8.2887 Å, c = 9.4165 Å
α = 89.51°, β = 89.09°, γ = 80.29°
Fractional positions:
Pr 0.9390 0.9770 0.4970
Pr 0.4588 0.4519 0.0029
Mo 0.0150 0.8233 0.8539
Mo 0.0959 0.2449 0.1487
Mo 0.2435 0.1052 0.8519
Mo 0.2349 0.8733 0.1319
Mo 0.3098 0.5129 0.3747
Mo 0.3729 0.7226 0.6321
Mo 0.4568 0.1181 0.3740
Mo 0.5074 0.3381 0.6454
Mo 0.5973 0.7416 0.3588
Mo 0.7159 0.3658 0.3630
Mo 0.6221 0.9548 0.8642
Mo 0.7753 0.5914 0.6467
Mo 0.8305 0.0100 0.1415
Mo 0.8721 0.2399 0.8769
Mo 0.9564 0.6228 0.1328
O 0.0143 0.8385 0.2454
O 0.0567 0.2135 0.7405
O 0.1193 0.4579 0.2562
O 0.1940 0.6934 0.4960
O 0.1639 0.6893 0.0076
O 0.2584 0.0607 0.2532
O 0.1922 0.8991 0.7243
O 0.3216 0.3165 0.4970
O 0.2757 0.2804 0.9889
O 0.3679 0.5346 0.7627
O 0.4000 0.6823 0.2321
O 0.4557 0.1286 0.7498
O 0.3877 0.9210 0.9713
O 0.4422 0.8903 0.4848
O 0.4903 0.3424 0.2504
O 0.5927 0.7493 0.7352
O 0.6787 0.1650 0.9879
O 0.6615 0.1741 0.4972
O 0.6266 0.9504 0.2511
O 0.6955 0.4128 0.7837
O 0.7455 0.5768 0.2434
O 0.8436 0.0041 0.7547
O 0.8160 0.8120 0.9964
O 0.7853 0.7681 0.4949
O 0.9025 0.1784 0.2890
O 0.8628 0.4328 0.5224
- - -
(Back to the entry)

$497 (Normally $697)

As part of The Group Happy Experience you will receive:

  • Lifetime access to the Healing Boobies program (including all members-only video and audio content).
  • My “Get Happy” toolkit (including a series of mindset practices and a weekly PDF to add to your Boobie Book).
  • Access to the exclusive Healing Boobies community, filled with women just like you.
  • Membership to an exclusive group of only 6 women (maximum), encouraging you to build even stronger connections online.
  • 6 LIVE hour-long group sessions, hosted on Zoom. During these calls we will go through the weekly lesson and discuss it in more detail. You will also have the opportunity to ask questions, and work past any bumps in the road with my support.
  • Lifetime access to the recordings of those live calls.
  • BONUS: 2 downloadable guided meditations.

The next intake for The Group Happy Experience will begin announced for 2021.

The payment options available for this package are One Pay and Twelve Pay

The VIP Happy Experience

$997 (Normally $2,297)

As part of The VIP Happy Experience you’ll receive:

  • Lifetime access to the Healing Boobies program (including all members-only video and audio content).
  • My “Get Happy” toolkit (including a series of mindset practices and a weekly PDF to add to your Boobie Book).
  • Access to the exclusive Healing Boobies community, filled with women just like you.
  • An in-depth exploration of your own experience – and how that can refuel your journey back to happy.
  • Weekly 1:1 sessions, to give you personal guidance throughout the process (these will each last 60 minutes).
  • Lifetime access to the recordings of these sessions.
  • Tailored exercises designed to help you work through specific issues.
  • 6 weeks of 1:1 support.
  • BONUS- 3 downloadable guided meditations.
  • BONUS – A personalized meditation or healing EFT script.

The payment options available for this package are One Pay and Three Pay

Are you ready to be YOU again? This course takes you forward in your life but exploring the trail that got you here is important… knowing where you came from helps get you where you want to be… HAPPY!

Are you tired of the “Cancer Survivor” label? Ready to move beyond it? Ready for “the big C” to just be something you experienced and not to be WHO you are?

Community!! We are a group of women who want to live our life beyond fear… we want a life that is BETTER after breast cancer, and we are not DEFINED by it!

Here is what happens week to week:

Week 1: We explore our “boobie story”. What is the connection between emotions and breast cancer. How does how I feel have anything to do with the physical manifestation of breast cancer?

Week 2: Have there been any “silver linings” in our experience of breast cancer…don’t worry I’m not calling it a GIFT! But learning about the practice of gratitude is essential.

Week 3: The “rabbit hole”. How to feel what we need to feel without getting swallowed by it.

Week 4: Learning about other healing modalities that are helpful in recovery.

Week 5: Defining your “survivorship”. Knowing what kind of survivor you are is essential. Determine where you are and how to express this to others so “you don’t want to knock out Aunt Mary for buying you a pink ribbon necklace.”

Week 6: Learning how to reach out to others in a healthy way to pay it forward. Helping others get there happy on, helps you get your happy on! Lather, Rinse, Repeat…


The course is two videos per week (ranging from 5-15 minutes) and a weekly assignment (journaling, listening to a 5-15 minute audio, getting a massage (YUP some self care I am prescribing) that requires about 15 minutes of time. All videos have transcriptions available if you just prefer to read. Although the course is intended to be completed at the end of six weeks, if you choose you can slow down your pace. I don’t recommend speeding it up because there is no rushing this.

Private Video Session

Want to work with me one on one but not ready for the Healing Boobies Experience? No problem.

Want help to move forward? Need some guidance?

Schedule a private session with me and let me help you get on the inside track to happy! Let’s do this!

  • $98 for a 45 minute session